Red Bird PTA Meeting Minutes

April 15, 2009

*Meeting called to order: 7:10pm by PTA President, Lisa McPeek

*President’s Report: Lisa McPeek noted there are corrections to be made to March 11, 2009 meeting minutes. They are 1. The Make A Difference Award nomination does not need to be a PTA member, 2. A total of 6 walkie talkies were purchased by the PTA, 3. CASE class teachers receive a $75 grant and all typical class teachers receive $100. Motion to approve minutes by Jonna Reed, 2nd by Beth Ardern, all approve

Lisa McPeek also reported at the last superintendent meeting, a district student dress code was discussed. The Board of Education would like to hear from parents on their views of having a dress code. The district would like to have a stricter dress code and will enforce next school year the following guidelines: 1. no tank tops (must have sleeves), 2. no baggie or ripped jeans (jeans must sit at the waist), 3. no flip-flops. The staff dress code is also being assessed.

Lisa McPeek and Christina Lewis attended the last Lake County Council PTA meeting, and it was reported that the PTA is helping Governor Strickland pass House Bill 26, which will band corporal punishment in Ohio public schools.

Cindy Redd received a nomination for Corresponding Secretary for the 2009/10 school year. Motion to approve by Christina Lewis, 2nd by Kearsten Wood, all approved. Congratulations Cindy!

Teacher Appreciation is May 4 – 10. If you would like to bake for the teacher’s lounge, it would be much appreciated. See Jonna Reed for more info.

The teachers will host a Volunteer Appreciation day on May 26, at 2:30pm, in the gym. All volunteers are invited.

*Treasurers Report: The current balance is $17,229.38. Lisa McPeek and Christina Lewis reported if we remain on target for the remainder of this year and with no spring fund-raiser; the PTA will start the next school year with $10,800, which is where we want to be. It has been decided not to have a spring fund-raiser.

*Secretary’s Report: nothing to report

*Corresponding Secretary’s Report: Thank you cards were received by students for the COSI program and time given by PTA, Mrs. Pierce – for birthday gift, Teachers – for the PTA support for math/science night.

*Teachers Report: Mr. Nichols reported that the teachers and staff would like to hold a walk-a-thon next fall. All monies raised will go towards technology for the school.

*Principal’s Report: Mr. Nichols addressed the student dress code. He reported that the handbook states that students may not have bright color dyed hair or hair color that is clearly unnatural, that distracts from a learning environment. A reminder will be put in CHIRPS.

Mr. Nichols also reminded that students are discouraged from bringing cell phones to school, in efforts to avoid damage or lost phones. If a student needs to bring a cell phone, the student needs to have it turned off and left in their school bag during school hours. The office phones are always available for students to contact home, when needed.

A school assembly is scheduled for May 18. A company from California will be addressing issues such as bullying, making good choices, and character in a fun and exciting program. The cost of the assembly is being funded by the Principal’s Activity Account.


COSI: We will not be having COSI next year. Other programs are being looked into, such as programs from The Cleveland Natural History Museum. Their program is similar to COSI with an assembly and hands on activities. Cost is $1600 for 2 days, compared to COSI of $2,000.

Homework Helper: Beth Ardern reported the program will continue through the 2nd week of May. She was unsure if it will be held during Ohio Achievement Test week and will look into.

Science Night: All went well and the juggler was a big hit.

Market Day: Christina Lewis reported there were 33 customers and earned $243.18 at our last market day. Next pick-up is Tuesday, April 21st.

Spring Carnival: Lisa McPeek reported that the carnival went very well and thanks to all that helped. Lisa reminded everyone that this was not a fund-raiser and after all receipts are turned in, we will break about even. All left over food and drinks from the carnival will be used for the 5th grade picnic and 5th grade Olympic Day. PTA did receive a bill for the custodian’s services totally $335.00. Lisa said this bill was received in error and is contacting the Board of Ed. to address it.

Reflections: Tawnya Petti reported Gabrielle Perusek received an Honorable Mention for her film/video entry at the state level. Also, Alicia Robles theme idea, “Dreams Can Come True”, for the 2010/11 school year is one of 5 finalists. If her theme is selected, she will receive $100.00.

Red Bird Run: Lisa McPeek reported the run will be held Sunday, May 17th. Registration will begin at 8:00am. Many volunteers are needed and anyone who would like to help can contact Lisa McPeek. Donations are also needed to help cover costs and anyone who donates will have their name on the back of the run t-shirt. 25 entries were received for the t-shirt contest. The winner will be selected by the Wysockis.

Book Fair: Kearsten Wood reported it would be held April 27 – May 1. Family night is April 29. This is a 50% off book fair and no money is profited. Volunteers are needed; contact Holly Zappitelli if you would like to help.

Fund-raisers: Lisa McPeek reported PTA will not hold a spring fund-raiser. Box Tops we earned $1600.00, Tyson - $74.88, Giant Eagle – 299 points for last quarter and 1,206 points for the year, Mr. Brickman will be meeting with teachers to pick out what they want to use the points on.

Scholarships: Deadline is April 15th. Only 3 applications have been received. The board will meet April 30th to select winners.

Teacher Appreciation Week: Jonna Reed reported it will be held May 4 – 8th. A luncheon has been planned for the teachers, to be held Tuesday, May 5th. Volunteers are needed to bake goodies for the teachers lounge each day. See Jonna for more info.

5th Grade Olympics: It will be held May 27th and the rain day is May 29th. Lisa will contact Homer Nash about lunch for the students.

5th Grade Picnic: Room parents will be contacted to help plan picnic. Left over food and drinks from the carnival will be used. Picnic is the last day of school.

*New Business: Lisa McPeek reported the teachers would like to have a walkie-talkie for each grade level, so they can be contacted when the class is out of the building, such as recess. She suggested the PTA let the teachers use it’s walkie-talkies during school hours and they would be responsible for keeping them charged. It was unanimously agreed to do so.

*Old Business: Teachers’ birthday gifts will be purchased from Red Berry, which will include a box of candy, ribbon, card & bookmark.

Lisa McPeek suggested purchasing 2 banners with the school name on it to give the school for 50th birthday. 2 banners cost $20.00 plus tax & shipping. Motion to approve by Renee Lawrence. 2nd by Cindy Redd. All approved.

Kearsten Wood reported Waldameer tickets are on sale until May 1st.

*Meeting adjourned: 8:35PM.

Records of crystals from another source follow:
Computed, not measured: a geometry-optimized CaLaNd6Dy2 structure at the PBE level of DFT.

Total energy: -86.9 eV/cell
ΔE_f: 0.1292 eV/atom
Density of states at the Fermi level: 30.1 states/eV per cell
Total magnetic moment: 0.0 μB/f.u.

Cell: 9.9699 9.0476 9.0476 Å, 118.18 94.01 94.01°
Closest atoms and distances in Å follow each position.
Sites, in units of the cell vectors:
Ca (0.2500, 0.4028, 0.5972)  8 Nd 3.59-4.02, 2 Dy 3.68
Ca (0.7500, 0.5972, 0.4028)  8 Nd 3.59-4.02, 2 Dy 3.68
La (0.2500, 0.9721, 0.0279)  4 Dy 3.50-3.51, 6 Nd 3.70-3.92
La (0.7500, 0.0279, 0.9721)  4 Dy 3.50-3.51, 6 Nd 3.70-3.92
Nd (0.0527, 0.1130, 0.7584)  4 Nd 3.45-3.76, 1 Dy 3.52, 1 La 3.75
Nd (0.4473, 0.2416, 0.8870)  4 Nd 3.45-3.76, 1 Dy 3.52, 1 La 3.75
Nd (0.9473, 0.8870, 0.2416)  4 Nd 3.45-3.76, 1 Dy 3.52, 1 La 3.75
Nd (0.5527, 0.7584, 0.1130)  4 Nd 3.45-3.76, 1 Dy 3.52, 1 La 3.75
Nd (0.3240, 0.9742, 0.4359)  3 Nd 3.29-3.68, 2 Dy 3.56-3.64, 1 Ca 3.59
Nd (0.1760, 0.5641, 0.0258)  3 Nd 3.29-3.68, 2 Dy 3.56-3.64, 1 Ca 3.59
Nd (0.6760, 0.0258, 0.5641)  3 Nd 3.29-3.68, 2 Dy 3.56-3.64, 1 Ca 3.59
Nd (0.8240, 0.4359, 0.9742)  3 Nd 3.29-3.68, 2 Dy 3.56-3.64, 1 Ca 3.59
Nd (0.1207, 0.7076, 0.4936)  3 Nd 3.29-3.45, 3 Dy 3.37-3.54, 1 Ca 3.59
Nd (0.3793, 0.5064, 0.2924)  3 Nd 3.29-3.45, 3 Dy 3.37-3.54, 1 Ca 3.59
Nd (0.8793, 0.2924, 0.5064)  3 Nd 3.29-3.45, 3 Dy 3.37-3.54, 1 Ca 3.59
Nd (0.6207, 0.4936, 0.7076)  3 Nd 3.29-3.45, 3 Dy 3.37-3.54, 1 Ca 3.59
Dy (0.4542, 0.8017, 0.7006)  6 Nd 3.37-3.64, 2 La 3.50-3.51, 1 Ca 3.68
Dy (0.0458, 0.2994, 0.1983)  6 Nd 3.37-3.64, 2 La 3.50-3.51, 1 Ca 3.68
Dy (0.5458, 0.1983, 0.2994)  6 Nd 3.37-3.64, 2 La 3.50-3.51, 1 Ca 3.68
Dy (0.9542, 0.7006, 0.8017)  6 Nd 3.37-3.64, 2 La 3.50-3.51, 1 Ca 3.68

----------

Here is a relaxed La6Y4Tm crystal from Alexandria. Energies are from GGA-PBE.

```
La6Y4Tm
1.0
-3.500 3.500 8.039
3.500 -3.500 8.039
3.500 3.500 -8.039
La Y Tm
6 4 1
Direct
0.000 0.500 0.500
0.011 0.627 0.000
0.373 0.373 0.384
0.500 0.000 0.500
0.627 0.011 0.000
0.989 0.989 0.616
0.227 0.227 0.660
0.433 0.773 0.000
0.567 0.567 0.340
0.773 0.433 0.000
0.000 0.000 0.000
```

Summary:
**Uncorrected energy**: -5.16 eV/atom
**Energy relative to the elements**: 0.284 eV/atom
**Energy above the lowest structure with this stoichiometry**: 177.8 meV per atom

=====

Here is a relaxed La2YTm4 crystal from Alexandria. Energies are from GGA-PBE.

```
La2YTm4
1.0
7.095 0.000 0.000
-1.793 8.478 0.000
-1.805 -4.109 7.607
La Y Tm
4 2 8
Direct
0.000 0.000 0.000
0.063 0.729 0.577
0.187 0.333 0.454
0.485 0.995 0.997
0.401 0.461 0.158
0.712 0.154 0.719
0.098 0.558 0.866
0.214 0.158 0.726
0.296 0.887 0.324
0.574 0.734 0.589
0.600 0.555 0.863
0.686 0.329 0.450
0.792 0.889 0.321
0.891 0.450 0.148
```

Summary:
**Uncorrected energy**: -4.84 eV/atom
**Energy relative to the elements**: 0.050 eV/atom
**Energy above the lowest structure with this stoichiometry**: 0.0 meV per atom

=====

Here is a relaxed La2Y12Tm5 crystal from Alexandria. Energies are from GGA-PBE.


Beth ArdernChristina LewisLisa McPeekTawnya Petti Cindy ReddKearsten Wood

-- Materials data, as found in the file --
(1)
This record from Alexandria via LeMat-Bulk describes a geometry-optimized CsRb2AsBr6 structure. The functional is PBE.

For the energy above the most stable polymorph in this dataset, the calculation gives 6.0 kJ/mol of atoms. The uncorrected formation energy is -1.171 eV/atom.

a = 8.5339 Å, b = 8.5339 Å, c = 8.5339 Å
α = 60.00°, β = 60.00°, γ = 60.00°
Closest atoms and distances in Å follow each position.
Atoms (fractional coordinates):
Cs 0.0000 0.0000 0.0000  6 Br 3.37
Rb 0.2500 0.2500 0.2500  12 Br 4.28
Rb 0.7500 0.7500 0.7500  12 Br 4.28
As 0.5000 0.5000 0.5000  6 Br 2.66
Br 0.2792 0.2792 0.7208  1 As 2.66
Br 0.2792 0.7208 0.2792  1 As 2.66
Br 0.2792 0.7208 0.7208  1 As 2.66
Br 0.7208 0.2792 0.2792  1 As 2.66
Br 0.7208 0.2792 0.7208  1 As 2.66
Br 0.7208 0.7208 0.2792  1 As 2.66

---

(2)
This record from Alexandria via LeMat-Bulk describes a geometry-optimized CsRb2AsBr6 structure. The functional is PBE.

For the energy above the most stable polymorph in this dataset, the calculation gives 0.0 kJ/mol of atoms. The uncorrected formation energy is -1.234 eV/atom.

a = 8.1433 Å, b = 8.6358 Å, c = 14.1676 Å
α = 90.00°, β = 124.46°, γ = 90.00°
Closest atoms and distances in Å follow each position.
Atoms (fractional coordinates):
Cs 0.0000 0.0000 0.0000  6 Br 3.54-3.63
Cs 0.0000 0.5000 0.5000  6 Br 3.54-3.63
Rb 0.2811 0.0785 0.7519  6 Br 3.49-3.68
Rb 0.2811 0.4215 0.2519  6 Br 3.49-3.68
Rb 0.7189 0.5785 0.7481  6 Br 3.49-3.68
Rb 0.7189 0.9215 0.2481  6 Br 3.49-3.68
As 0.5000 0.0000 0.5000  6 Br 2.68-2.70
As 0.5000 0.5000 0.0000  6 Br 2.68-2.70
Br 0.1646 0.0490 0.2916  1 As 2.69
Br 0.1646 0.4510 0.7916  1 As 2.69
Br 0.2942 0.6656 0.0596  1 As 2.68
Br 0.2942 0.8344 0.5596  1 As 2.68
Br 0.4243 0.2392 0.0742  1 As 2.70
Br 0.4243 0.2608 0.5742  1 As 2.70
Br 0.5757 0.7392 0.4258  1 As 2.70
Br 0.5757 0.7608 0.9258  1 As 2.70
Br 0.7058 0.1656 0.4404  1 As 2.68
Br 0.7058 0.3344 0.9404  1 As 2.68
Br 0.8354 0.5490 0.2084  1 As 2.69
Br 0.8354 0.9510 0.7084  1 As 2.69

---

(3)
This record from Alexandria via LeMat-Bulk describes a geometry-optimized CsRbAsBr2 structure. The functional is PBE.

For the energy above the most stable polymorph in this dataset, the calculation gives 13.2 kJ/mol of atoms. The uncorrected formation energy is -0.451 eV/atom.

a = 6.7877 Å, b = 6.7877 Å, c = 6.1689 Å
α = 90.00°, β = 90.00°, γ = 90.00°
Closest atoms and distances in Å follow each position.
Atoms (fractional coordinates):
Cs 0.0000 0.0000 0.0000  2 As 3.08, 4 Br 3.39
Rb 0.5000 0.5000 0.5000  8 Br 4.59, 4 As 4.80
As 0.0000 0.0000 0.5000  2 Cs 3.08
Br 0.0000 0.5000 0.0000  2 Cs 3.39
Br 0.5000 0.0000 0.0000  2 Cs 3.39

---

(4)
This record from Alexandria via LeMat-Bulk describes a geometry-optimized Cs2RbAsBr6 structure. The functional is PBE.

For the energy above the most stable polymorph in this dataset, the calculation gives 0.0 kJ/mol of atoms. The uncorrected formation energy is -1.258 eV/atom.

a = 8.2255 Å, b = 8.5227 Å, c = 14.3516 Å

Renee LawrenceNicole MartinDwayne NicholsMichelle Popovich Jonna Reed